My Daily Routine for 2015

In 1851, Victor Hugo, the author of Les Miserables, was living on the island of Guernsey. His daily routine could only be described as cartoonishly virile. He rose at dawn, drank his morning coffee, ate two raw eggs, and wrote until 11:00 AM while standing at a small desk overlooking the English Channel.
After writing, Hugo moved into a unique routine of a cold-water bath on the roof. At noon he had a light lunch, and welcomed visitors. He then went for a two-hour walk and exercise session on the beach, followed by a trip to the barber, and a visit with his mistress (even though he lived with his wife).
Hugo once wrote, “Nothing can stop an idea whose time has come.” For us, that idea is getting up early to work on our number one priority in life. Doing ‘first things first’, as my mentor Mark Ford says, allows you to get more done and get closer to creating a lasting legacy in your life.
I have taken Mark and Hugo’s approach to life, sans cold-water baths, raw eggs, and mistress. Let’s walk through my daily routine to see how I stay productive and so can you.
I wake up between 3:30 and 4:00 AM, without an alarm. I roll over, grab my phone, and spend three minutes sending motivational text messages to coaching clients. Fully awake, I sneak out of bed, put on my writing clothes, and head downstairs. What comes next might surprise you.
Waiting at the foot of the stairs in the front foyer of the house, with tail wagging, is the infamous Bally the Dog, my 9-year old Chocolate Lab. I sit on the ground, put his paws on my shoulders and lie back so we are chest-to-chest. He rests his head on my shoulders and let’s out a big sigh. I rub the sleep out of his eyes and playfully pull on his floppy brown ears.
We started this morning ritual when he was a puppy. I was looking for a dog to help me overcome my struggles with anxiety and purchased him from a breeder just north of Toronto in April of 2006. Each morning, in my tiny Toronto apartment, he’d jump up on my bed and I’d let him climb on my chest. Petting his head and rubbing under his chin and behind his ears would help me relax. I loved our morning routine, but then he got too big and I got ‘too busy.’ Eventually I smartened up. You have to make time for the little things in life, even when things that used to be little, like puppies, are now forty pounds heavier. It is the little joys in life that matter.
After a couple of minutes, one of us is ready to move on, although sometimes he tricks me into giving him a belly rub. Then I get up, he goes back to his mat to sleep, and I get something to drink.
I open the fridge, pour a cup of cold-filtered water, and mix in one gram of vitamin C powder. I drink it down and head to the kitchen table to begin typing. Over the next two hours while writing ETR essays and fitness magazine articles, I’ll consume nothing more than plain ice water and the occasional cup of Green Tea. I eat nothing until after 7:00 AM, when I finish my daily 12-hour fast lasting from dinner to breakfast.
The hours before seven o’clock are my Magic Time, where I can create more quality content in two hours than I could in six hours at any other time of the day. For example, I finished a 2400 word first draft of this article was in less than an hour.
Everyone has a Magic Time in the day. Beethoven, Ben Franklin, and B.F. Skinner were early risers and found their best work was done as the sun was rising. For night owls, like my friend Joel Marion and Presidents Barack Obama and JFK, Magic Time might be after 10:00 PM. But for most people, your Magic Time will be found in the morning, either before you go to work or in the first few hours at your job when interruptions are limited.
Identifying your Magic Time is essential for success. “Magic Time has changed my life,” reports ETR reader, Jon Laffoon, a High School Principal in Pea Ridge, Arkansas. You must make time in your day for two to four hours of concentrated effort on your number one priority in life. First thing in the morning is the most practical approach.
____________
[1]
## LiNb3O8 (r²SCAN)

Data for LiNb3O8 after structural relaxation.

Results
For the calculated volume, the calculation gives 140 Å³/f.u. The total moment comes out at 0.00 μB/f.u. Its formation energy is -2.738 eV/atom.

Cell: 7.538 5.052 15.430 Å, 90.00 107.33 90.00°
Atoms (fractional coordinates):
Li 0.239 0.241 0.079
Li 0.239 0.259 0.579
Li 0.761 0.741 0.421
Li 0.761 0.759 0.921
Nb 0.020 0.741 0.165
Nb 0.020 0.759 0.665
Nb 0.251 0.745 0.426
Nb 0.251 0.755 0.926
Nb 0.490 0.233 0.331
Nb 0.490 0.267 0.831
Nb 0.510 0.733 0.169
Nb 0.510 0.767 0.669
Nb 0.749 0.245 0.074
Nb 0.749 0.255 0.574
Nb 0.980 0.241 0.335
Nb 0.980 0.259 0.835
O 0.003 0.065 0.098
O 0.003 0.435 0.598
O 0.087 0.584 0.784
O 0.087 0.916 0.284
O 0.148 0.069 0.452
O 0.148 0.431 0.952
O 0.238 0.593 0.155
O 0.238 0.907 0.655
O 0.277 0.081 0.845
O 0.277 0.419 0.345
O 0.353 0.599 0.540
O 0.353 0.901 0.040
O 0.412 0.067 0.217
O 0.412 0.433 0.717
O 0.463 0.579 0.900
O 0.463 0.921 0.400
O 0.537 0.079 0.600
O 0.537 0.421 0.100
O 0.588 0.567 0.283
O 0.588 0.933 0.783
O 0.647 0.099 0.960
O 0.647 0.401 0.460
O 0.723 0.581 0.655
O 0.723 0.919 0.155
O 0.762 0.093 0.345
O 0.762 0.407 0.845
O 0.852 0.569 0.048
O 0.852 0.931 0.548
O 0.913 0.084 0.716
O 0.913 0.416 0.216
O 0.997 0.565 0.402
O 0.997 0.935 0.902

[2]
## Li3NbO4 (r²SCAN)

Data for Li3NbO4 after structural relaxation.

Results
For the calculated volume, the calculation gives 75 Å³/f.u. The total moment comes out at 0.00 μB/f.u. Its formation energy is -2.589 eV/atom.

Cell: 7.289 7.289 7.289 Å, 109.47 109.47 109.47°
Atoms (fractional coordinates):
Li 0.000 0.272 0.513
Li 0.000 0.513 0.272
Li 0.240 0.728 0.728
Li 0.272 0.000 0.513
Li 0.272 0.513 0.000
Li 0.487 0.487 0.760
Li 0.487 0.760 0.487
Li 0.513 0.000 0.272
Li 0.513 0.272 0.000
Li 0.728 0.240 0.728
Li 0.728 0.728 0.240
Li 0.760 0.487 0.487
Nb 0.000 0.000 0.717
Nb 0.000 0.717 0.000
Nb 0.283 0.283 0.283
Nb 0.717 0.000 0.000
O 0.000 0.000 0.229
O 0.000 0.229 0.000
O 0.000 0.511 0.758
O 0.000 0.758 0.511
O 0.229 0.000 0.000
O 0.242 0.242 0.753
O 0.242 0.753 0.242
O 0.247 0.489 0.489
O 0.489 0.247 0.489
O 0.489 0.489 0.247
O 0.511 0.000 0.758
O 0.511 0.758 0.000
O 0.753 0.242 0.242
O 0.758 0.000 0.511
O 0.758 0.511 0.000
O 0.771 0.771 0.771

[3]
## LiNbO2 (r²SCAN)

Data for LiNbO2 after structural relaxation.

Results
For the calculated volume, the calculation gives 39 Å³/f.u. The total moment comes out at 0.00 μB/f.u. Its formation energy is -2.557 eV/atom.

Cell: 2.922 2.922 10.451 Å, 90.00 90.00 120.00°
Atoms (fractional coordinates):
Li 0.000 0.000 0.000
Li 0.000 0.000 0.500
Nb 0.333 0.667 0.250
Nb 0.667 0.333 0.750
O 0.333 0.667 0.622
O 0.333 0.667 0.878
O 0.667 0.333 0.122
O 0.667 0.333 0.378

----------

# 1
The following is a PBE with a Hubbard U calculation of a geometry-optimized MgMn6O6F6 structure, from the Materials Project.

```
MgMn6O6F6
1.0
-4.764 2.004 1.196
-6.383 0.045 -13.304
-1.077 -2.896 0.487
Mg Mn O F
1 6 6 6
Direct
0.492 0.998 0.487
0.992 0.999 0.987
____________
You must take advantage of your Magic Time every day and ruthlessly protect those hours from other people and interruptions. If you don’t, if you let your Magic Time go to waste, you will find yourself struggling, spinning your wheels, and finding the work building up around you. You will not experience a sense of progress, and without progress you will lose momentum and motivation. It is this lack of progress that kills our confidence and leads to frustration, even spite, towards our jobs.
Do not underestimate the importance of your Magic Time. It helped me go from a broke, struggling personal trainer, to the owner of the business of my dreams (Early to Rise). Great opportunity exists in your Magic Time. Don’t let it slip away. Identify your best work schedule and be willing to sacrifice for success. It’s one of the biggest secrets to getting ahead.
After writing, I meditate for twenty minutes, often pairing this with the sunrise. I meditate on an empty stomach and without caffeine, as even small amounts can leave me ‘wired’ (I have never had a coffee in my life!). Drinking only water and decaf tea ensures the meditation session is calm, but focused, serene, and not stressful.
After meditation I go back downstairs, and repeat the ‘dog on chest’ routine. This time there is more vigorous tail wagging, as Bally knows it is time for his morning walk. I let him outside to bark at the moon while I get dressed for the rain, snow, sleet, or sunshine, whatever the Canadian climate brings. Then it’s off for our 20-minute mile loop of the neighborhood.
Our first stop is the mailbox. I drop off the Thank You card I’ve written for a friend, a reader, or a business partner. Picturing the recipient’s surprise puts a smile on my face. Again, it is the small joys in life that mean so much.
Then it is time for Bally to do his ‘business’. He picks out the same spot every morning, always under the flickering streetlight that goes out when it’s time for me to stoop and scoop in the dark. Emptied, he’s ready to return home for breakfast and a nap.
At 9 years old (and 65 in human years), Bally the Dog is looking good and moving well. He sleeps a little more and a little deeper these days, but his energy belies his age. He’s not a pound overweight and he still has the stamina to chase varmints and deer out on the farm. Only his grey beard exposes his maturity. If I’m as healthy and energetic as him at 65, I’ll count myself fortunate.
With Bally back sleeping, it’s now time for me to do a short bodyweight circuit in the garage before my breakfast. Or, if I’m planning a heavy weightlifting session, I’ll eat first, write for two hours, and then head to the local YMCA.
Breakfast is simple. I’m not much of a cook, but I can make a mean plate of scrambled eggs with a side of spinach and mushrooms, that I top with olive oil and sun-dried tomatoes. I finish with a big chunk of pineapple to satisfy my sweet tooth.
My mid-morning writing begins with a review of my Daily Guiding Documents. These include marketing tips from Ted Nicholas, Mark Ford, Dan Kennedy and Yanik Silver, philosophy from Seneca and Epictetus, motivational quotes from Bedros Keuilian and Frank McKinney, and a page filled with my big goals and dreams.
Inspired with ideas, I spend the rest of the morning writing for Early to Rise (ETR), Turbulence Training (TT), and my Internet Marketing Coaching program. If the day is going well, I might do a 30-minute Question and Answer session on our Facebook pages. I love being able to interact with our readers and get ideas on how to turn common problems into the topics of future ETR essays. That brings me to a short lunch break.
My Daily Routine for 2015 continued…